History of Feminism
Related: About this forumJust posted in GD, but thought you all would like to see it as well.
possible trigger - warning....Oppressed majority
(7,237 posts)Angry how OBVIOUSLY fucked up it is, the way women are treated in this world, and it only become OBVIOUS to many when the gender roles are reversed.
boston bean
(36,661 posts)or the shrugging it off as evolutionary, it maddening. I hope this video helps get the point across.
(860 posts)I like it that they're trying to make a point, even though they misuse the word feminism in it.
boston bean
(36,661 posts)I know it probably wasn't the correct word to use... but the attacks on feminism are often framed this way.
(860 posts)to feminism being used that way, because as you said, there are so many that try to attack feminism by saying "you just want to dominate us!" instead of seeing it as a fight to get equal rights.
But it's a powerful video and I'm glad you posted it. It's bizarre and powerful to see the roles reversed, and it really makes it apparent that we put up with a lot.
boston bean
(36,661 posts)because of the way the SCUM manifesto was discussed here, but this is just a toned down version of that.
I wish the people who found it to be misandrist, could have seen it in the light of what this video portrays. It was meant to be radical and make people feel uncomfortable, just as this video does. There was holy hell to pay for a feminist posting the manifesto here in the group for discussion.
(860 posts)reacting the way I did. I haven't read the SCUM manifesto in years, so to be honest I don't remember it well. ( I know. Shame on me!) I'll go find it on google.
It is such a shame that you can't post famous feminist writing in a feminist group without a MRA backlash. I mean, I want to discuss writing like that. I find it incredibly interesting!
boston bean
(36,661 posts)She had some problems... but I do think there is some value in discussing it from a feminist perspective. This documentary shows the reasons why. It's not like feminists want a world like this. It is exactly opposite of wanting that type of society. But it is a useful tool in describing what the female experience is like and to get others to see the point.
== What comes next are calculated molecules, not part of the piece ==
## 1
15
Properties=species:S:1:pos:R:3:mulliken_charge:R:1 method="wB97M-V/def2-TZVPD" multiplicity=1 homo_energy_ev=-9.56 orbital_gap_ev=9.94 mol_weight_g_mol=140.069
C -1.1729 -0.0116 0.7812 0.25
C 1.9653 0.4909 0.3180 -1.05
C 0.8875 -0.0211 -0.6792 -0.64
C -0.2107 -0.9362 -0.0256 0.81
O -0.9211 0.4652 1.8623 -0.49
F 0.2530 -1.9788 0.6326 -0.30
F -0.9199 -1.4817 -0.9817 -0.33
P -2.4534 0.7725 -0.4055 -0.04
H 2.9153 0.8766 -0.2417 0.33
H 1.7114 1.4993 0.7394 0.27
H 2.1573 -0.2014 1.0770 0.31
H 0.3378 0.7286 -1.2225 0.34
H 1.4785 -0.5264 -1.3963 0.40
H -2.6126 -0.4178 -1.0913 0.07
H -3.4156 0.7419 0.6333 0.07

---

## 2
15
Properties=species:S:1:pos:R:3:mulliken_charge:R:1 method="wB97M-V/def2-TZVPD" multiplicity=1 homo_energy_ev=-8.57 orbital_gap_ev=9.23 mol_weight_g_mol=140.069
C 2.0719 -0.0752 0.3776 0.46
C -2.2979 0.3234 0.2015 -1.57
C -0.8617 0.1756 0.7186 -0.18
C 0.1794 0.7060 -0.2274 0.40
O 2.6973 0.4359 1.2217 -0.41
F 0.1564 2.0043 -0.4935 -0.27
F 0.0671 0.0502 -1.4881 -0.32
P 2.2530 -1.6213 -0.4307 -0.10
H -2.9776 -0.2307 0.7919 0.39
H -2.7442 1.2460 0.0821 0.44
H -2.4863 -0.0253 -0.7564 0.44
H -0.8286 0.6212 1.7126 0.33
H -0.7313 -0.9031 0.7625 0.26
H 1.9547 -1.2335 -1.8618 0.09
H 3.5476 -1.4735 -0.6107 0.04

---

The relative energies come out as 1 0.0; 2 132.9, with values in kJ/mol.

---

## 1
21
Properties=species:S:1:pos:R:3:mulliken_charge:R:1 method="wB97M-V/def2-TZVPD" multiplicity=1 homo_energy_ev=-3.79 orbital_gap_ev=7.23 total_charge=-1 mol_weight_g_mol=121.156
C -1.2909 0.7182 0.9955 -0.61
O -0.4976 0.0158 1.8984 -0.58
C -0.5689 1.3567 -0.2241 -0.63
C -0.1772 0.3049 -1.2663 -0.70
C 0.9970 -0.5399 -0.7274 -0.33
C 0.7290 -2.0732 -0.6324 -0.58
O -0.0864 -2.6507 -1.6330 -0.55
H -1.9818 0.0151 0.4903 0.32
H -1.9704 1.4050 1.5211 0.29
H -1.1564 2.1996 -0.6078 0.41
H 0.3348 1.8670 0.1152 0.19
H 0.0617 0.8413 -2.1845 0.28
H -0.9897 -0.3235 -1.6413 0.30
H 1.8198 -0.2960 -1.4099 0.38
H 1.2358 -0.2957 0.3013 0.25
H 1.6085 -2.6857 -0.4761 0.37
H 0.2068 -2.0756 0.3391 0.29
H -0.8586 -2.1182 -1.8130 0.34
H 0.2222 0.7577 2.2981 0.35
H 1.2944 1.8027 1.8594 0.24
O 1.0678 1.7745 2.7976 -1.03

---

## 2
21
Properties=species:S:1:pos:R:3:mulliken_charge:R:1 method="wB97M-V/def2-TZVPD" multiplicity=1 homo_energy_ev=-4.41 orbital_gap_ev=7.91 total_charge=-1 mol_weight_g_mol=121.156
C -1.3527 -0.8531 0.4019 -0.47
O -1.4560 -0.6604 -1.0471 -0.50
C -0.1523 -1.8215 0.4336 -0.58
C 1.0898 -0.9194 0.2068 -0.73
C 1.5047 -0.3885 1.5476 0.03
C 2.4707 -0.9741 2.2536 -0.78
H -2.3404 -1.3134 0.5286 0.27
H -1.3129 -0.0541 1.1377 0.29
H -0.0093 -2.3764 1.3470 0.35
H -0.2556 -2.5133 -0.4146 0.32
H 0.9984 -0.2180 -0.6407 0.33
H 1.9329 -1.4670 -0.2931 0.31
H 0.8837 0.5027 1.8967 0.24
H 3.1142 -1.7057 1.7926 0.29
H 2.7859 -0.4638 3.1583 0.28
H -1.1978 4.2338 -2.7796 0.23
H -0.9624 3.0106 -1.9950 0.43
O -0.5998 4.0947 -2.0320 -0.82
H -1.4149 0.3046 -1.3484 0.35
H -2.3388 1.7937 -2.0021 0.22
O -1.3873 1.7889 -2.1517 -1.04

---

## 3
21
(860 posts)I definitely feel like discussing it has merit. She drew on a lot the work of old writers and thinkers, if I am remembering correctly. She just turned their women-hating ideas on its head, and then took things to the radical conclusion.
It's definitely a good tool to use to highlight just how much power is being used against women in today's society. If certain people can't notice it until a man is subjected to it, then watching this short film will benefit them.
(110,159 posts)in history of feminism. and we hate to discuss scum... cause of the reaction from men wanting to turn it to misandry, reverse sexism. so we sit quietly. which is pure bullshit.
i was really appreciative that it was posted. and i think it is so well done, on expressing the reversal of the roles. could be a huge light bulb moment for so many. as a matter of fact. you remind me and i think i will have both boys read it and we can discuss. thanks.
(110,159 posts)the misogyny. thru out the video they put the man in the womans position. yet.... the front picture is of course a woman with her tits bare. all the video for a front screen shot, all the moments where the man is in the vulnerable position, there forefront on this feminist video, expressing the opposite in oppression has the woman bare.
over the years, i have seen the still shots of videos, after videos.... and inevitable, is there is a tit shot, an ass shot, a stripper shot, that is what is on the front in still. way beyond coincidence. i have see where it is a stripper on the front, watch a 20 minute video, only for there to be a nano sec flash, yet that was what was picked up to be on the front, even though none of the story was about strippers.
this video, that is pro woman, (though i get the point of women being bared chested and running) did exactly what we do over and over and over .... so the men will click on the video. naked women sell. and this video, that was supposing to be addressing all that, went right there.
(110,159 posts)vulnerable to a group of women. that is very hard to do, when we have had forever oppression of women, not men. i think they did an excellent job. i do not think it will make the men feel vulnerable, maybe it the pinching testicles and biting dick. otherwise, merely feels like a womans vulnerability, with role reversal. a not gonna happen.
interesting video though.
(2,167 posts)It really does a good job of showing everything we go through, even things we don't think about because they are so ingrained in our lives.
(42,550 posts)I wouldn't post it at Du because boobs, but it has a very interesting perspective
By the way I'm severely restricting my participation on DU.
(110,159 posts)and i miss you
(42,550 posts)A good one. Maybe I need to rethink this....